Data =
{"formula": "C6H8N2", "method": "ωB97M-V/def2-TZVPD", "species": ["C", "C", "C", "C", "C", "C", "H", "H", "H", "H", "H", "H", "H", "H", "N", "N"], "positions_angstrom": [[0.322, -1.056, -0.147], [-1.415, -0.525, 1.126], [-0.756, 0.634, 0.627], [-0.375, 2.010, 0.359], [0.513, 1.577, -0.785], [0.181, 0.237, -0.330], [2.009, -2.168, -0.716], [0.810, -2.539, -1.724], [-0.347, -2.505, 1.094], [-2.152, -0.609, 2.034], [-1.229, 2.447, -0.105], [0.152, 2.480, 1.164], [0.440, 1.738, -1.791], [1.541, 2.017, -0.719], [0.989, -2.200, -0.757], [-0.682, -1.540, 0.669]], "atomic_forces_ev_per_a": [[0.5, -5.5, -2.5], [-1.0, 3.5, 3.6], [-1.5, -3.2, 0.4], [-2.2, 2.4, -0.9], [3.8, 0.5, 1.7], [0.8, -0.8, 0.9], [-0.4, 0.3, 0.3], [-0.6, 1.0, 1.0], [-1.9, 2.7, -1.0], [1.5, 0.0, -2.2], [-0.7, 1.9, 0.5], [-0.1, 0.9, 0.3], [-1.9, 0.8, -2.7], [-0.1, -1.0, 0.8], [1.5, 0.0, -0.5], [2.4, -3.5, 0.4]], "largest_force_ev_per_a": 6.07, "e_lumo_ev": 0.976, "relative_energy_kj_mol": 374.1, "orbital_gap_ev": 8.716}

~~~~~

1.
{"formula": "C5H11CaO3", "method": "ωB97M-V with the def2-TZVPD basis set", "species": ["C", "O", "C", "C", "O", "C", "H", "H", "H", "H", "H", "H", "H", "H", "H", "Ca", "O", "C", "H", "H"], "coordinates": [[1.284, 0.397, 1.154], [0.432, 0.903, 0.100], [-0.057, -0.027, -0.824], [-0.792, -1.203, -0.195], [-1.724, -0.745, 0.776], [-2.984, -0.328, 0.275], [1.817, 1.257, 1.591], [1.734, -0.606, 1.016], [0.745, -0.456, -1.452], [-0.743, 0.555, -1.455], [-0.110, -1.883, 0.332], [-1.283, -1.792, -0.983], [-2.870, 0.545, -0.383], [-3.447, -1.174, -0.253], [-3.625, -0.065, 1.124], [-0.700, 0.175, 2.525], [2.814, 1.889, -1.727], [2.940, 1.119, -0.762], [3.599, 1.416, 0.084], [2.970, 0.022, -0.943]], "fmax_ev_per_a": 4.521, "charge": 0, "spin_multiplicity": 2, "orbital_gap_ha": [0.180, 0.244], "mol_weight_da": 159.22, "e_lumo_ev": [0.3, -0.1], "de_lowest_kj_mol": 246.2}

---

2.
{"formula": "C5H11CdO4", "method": "ωB97M-V with the def2-TZVPD basis set", "species": ["C", "O", "C", "O", "C", "C", "O", "Cd", "H", "H", "H", "H", "H", "H", "H", "O", "H", "C", "H", "H", "H"], "coordinates": [[1.039, -1.743, 1.784], [-0.291, -1.384, 1.935], [1.913, -0.538, 1.441], [1.250, 0.127, 0.355], [1.474, 1.463, 0.144], [0.394, 2.070, -0.698], [-0.862, 1.577, -0.355], [-0.862, -0.108, 0.613], [1.160, -2.491, 0.970], [1.466, -2.201, 2.698], [2.929, -0.826, 1.132], [1.978, 0.163, 2.287], [2.517, 1.795, 0.143], [0.607, 1.847, -1.773], [0.465, 3.171, -0.596], [-2.115, -0.959, -0.679], [-2.775, -1.600, -0.405], [-2.502, -0.223, -1.966], [-2.811, -1.051, -2.622], [-3.104, 0.652, -1.687], [-1.870, 0.260, -2.720]], "fmax_ev_per_a": 4.121, "charge": 0, "spin_multiplicity": 2, "orbital_gap_ha": [0.280, 0.324], "mol_weight_da": 247.55, "e_lumo_ev": [0.4, 0.3]}

---

3.
{"formula": "C5H11Cl3O2PmSe2Si", "method": "ωB97M-V with the def2-TZVPD basis set", "species": ["Pm", "O", "C", "C", "C", "O", "C", "Se", "C", "Se", "H", "H", "H", "H", "H", "H", "H", "H", "H", "H", "Cl", "Si", "Cl", "Cl", "H"], "coordinates": [[1.368, 1.712, 2.295], [0.221, -1.275, -3.363], [-0.942, -1.000, -2.627], [-0.595, -0.284, -1.284], [-1.917, 0.017, -0.534], [-2.612, -1.162, -0.215], [0.116, 1.064, -1.688], [0.296, 2.553, -0.414], [0.301, -1.293, -0.469], [0.559, -1.091, 1.472], [-0.079, -1.711, -4.202], [-1.476, -1.956, -2.428], [-1.616, -0.354, -3.235], [-2.561, 0.702, -1.136], [-1.707, 0.554, 0.414], [-3.296, -1.299, -0.921], [-0.495, 1.544, -2.483], [1.109, 0.855, -2.139], [1.291, -1.410, -0.958], [-0.185, -2.292, -0.511], [1.452, 1.682, 6.465], [2.363, 0.800, 4.854], [4.364, 1.141, 5.141], [2.132, -1.213, 5.169], [1.909, 3.717, 2.799]], "fmax_ev_per_a": 2.243, "charge": -1, "spin_multiplicity": 5, "orbital_gap_ha": [0.242, 0.251], "mol_weight_da": 540.51, "e_lumo_ev": [2.1, 2.3]}

---

4.

Work order =
What is needed: return all of the notes further above without altering anything.

Here it is =
{"formula": "C6H8N2", "method": "ωB97M-V/def2-TZVPD", "species": ["C", "C", "C", "C", "C", "C", "H", "H", "H", "H", "H", "H", "H", "H", "N", "N"], "positions_angstrom": [[0.322, -1.056, -0.147], [-1.415, -0.525, 1.126], [-0.756, 0.634, 0.627], [-0.375, 2.010, 0.359], [0.513, 1.577, -0.785], [0.181, 0.237, -0.330], [2.009, -2.168, -0.716], [0.810, -2.539, -1.724], [-0.347, -2.505, 1.094], [-2.152, -0.609, 2.034], [-1.229, 2.447, -0.105], [0.152, 2.480, 1.164], [0.440, 1.738, -1.791], [1.541, 2.017, -0.719], [0.989, -2.200, -0.757], [-0.682, -1.540, 0.669]], "atomic_forces_ev_per_a": [[0.5, -5.5, -2.5], [-1.0, 3.5, 3.6], [-1.5, -3.2, 0.4], [-2.2, 2.4, -0.9], [3.8, 0.5, 1.7], [0.8, -0.8, 0.9], [-0.4, 0.3, 0.3], [-0.6, 1.0, 1.0], [-1.9, 2.7, -1.0], [1.5, 0.0, -2.2], [-0.7, 1.9, 0.5], [-0.1, 0.9, 0.3], [-1.9, 0.8, -2.7], [-0.1, -1.0, 0.8], [1.5, 0.0, -0.5], [2.4, -3.5, 0.4]], "largest_force_ev_per_a": 6.07, "e_lumo_ev": 0.976, "relative_energy_kj_mol": 374.1, "orbital_gap_ev": 8.716}

~~~~~

1.
{"formula": "C5H11CaO3", "method": "ωB97M-V with the def2-TZVPD basis set", "species": ["C", "O", "C", "C", "O", "C", "H", "H", "H", "H", "H", "H", "H", "H", "H", "Ca", "O", "C", "H", "H"], "coordinates": [[1.284, 0.397, 1.154], [0.432, 0.903, 0.100], [-0.057, -0.027, -0.824], [-0.792, -1.203, -0.195], [-1.724, -0.745, 0.776], [-2.984, -0.328, 0.275], [1.817, 1.257, 1.591], [1.734, -0.606, 1.016], [0.745, -0.456, -1.452], [-0.743, 0.555, -1.455], [-0.110, -1.883, 0.332], [-1.283, -1.792, -0.983], [-2.870, 0.545, -0.383], [-3.447, -1.174, -0.253], [-3.625, -0.065, 1.124], [-0.700, 0.175, 2.525], [2.814, 1.889, -1.727], [2.940, 1.119, -0.762], [3.599, 1.416, 0.084], [2.970, 0.022, -0.943]], "fmax_ev_per_a": 4.521, "charge": 0, "spin_multiplicity": 2, "orbital_gap_ha": [0.180, 0.244], "mol_weight_da": 159.22, "e_lumo_ev": [0.3, -0.1], "de_lowest_kj_mol": 246.2}

---

2.
{"formula": "C5H11CdO4", "method": "ωB97M-V with the def2-TZVPD basis set", "species": ["C", "O", "C", "O", "C", "C", "O", "Cd", "H", "H", "H", "H", "H", "H", "H", "O", "H", "C", "H", "H", "H"], "coordinates": [[1.039, -1.743, 1.784], [-0.291, -1.384, 1.935], [1.913, -0.538, 1.441], [1.250, 0.127, 0.355], [1.474, 1.463, 0.144], [0.394, 2.070, -0.698], [-0.862, 1.577, -0.355], [-0.862, -0.108, 0.613], [1.160, -2.491, 0.970], [1.466, -2.201, 2.698], [2.929, -0.826, 1.132], [1.978, 0.163, 2.287], [2.517, 1.795, 0.143], [0.607, 1.847, -1.773], [0.465, 3.171, -0.596], [-2.115, -0.959, -0.679], [-2.775, -1.600, -0.405], [-2.502, -0.223, -1.966], [-2.811, -1.051, -2.622], [-3.104, 0.652, -1.687], [-1.870, 0.260, -2.720]], "fmax_ev_per_a": 4.121, "charge": 0, "spin_multiplicity": 2, "orbital_gap_ha": [0.280, 0.324], "mol_weight_da": 247.55, "e_lumo_ev": [0.4, 0.3]}

---

3.
{"formula": "C5H11Cl3O2PmSe2Si", "method": "ωB97M-V with the def2-TZVPD basis set", "species": ["Pm", "O", "C", "C", "C", "O", "C", "Se", "C", "Se", "H", "H", "H", "H", "H", "H", "H", "H", "H", "H", "Cl", "Si", "Cl", "Cl", "H"], "coordinates": [[1.368, 1.712, 2.295], [0.221, -1.275, -3.363], [-0.942, -1.000, -2.627], [-0.595, -0.284, -1.284], [-1.917, 0.017, -0.534], [-2.612, -1.162, -0.215], [0.116, 1.064, -1.688], [0.296, 2.553, -0.414], [0.301, -1.293, -0.469], [0.559, -1.091, 1.472], [-0.079, -1.711, -4.202], [-1.476, -1.956, -2.428], [-1.616, -0.354, -3.235], [-2.561, 0.702, -1.136], [-1.707, 0.554, 0.414], [-3.296, -1.299, -0.921], [-0.495, 1.544, -2.483], [1.109, 0.855, -2.139], [1.291, -1.410, -0.958], [-0.185, -2.292, -0.511], [1.452, 1.682, 6.465], [2.363, 0.800, 4.854], [4.364, 1.141, 5.141], [2.132, -1.213, 5.169], [1.909, 3.717, 2.799]], "fmax_ev_per_a": 2.243, "charge": -1, "spin_multiplicity": 5, "orbital_gap_ha": [0.242, 0.251], "mol_weight_da": 540.51, "e_lumo_ev": [2.1, 2.3]}

---

4.